Given:
┌──
1.
The following is a DFT calculation (wB97M-V/def2-TZVPD) of a 2-piece molecular cluster, C13H21N2 overall at a distorted geometry.

The value obtained for the LUMO energy is -3.12 eV. The calculation puts the calculated total energy at -16791.4799 eV. The HOMO energy is -12.349 eV. The energy relative to the best compared isomer or geometry (same formula, charge and spin) comes out at 123.8 kcal/mol. The charge is +1. Its HOMO-LUMO gap is 9.23 eV.

Last columns: bonded neighbours and bond lengths (Å).
Positions of all 36 atoms, in Å:
1 C 1.241 -1.683 -1.084  C3 1.409, C5 1.443, H16 1.051
2 C 1.761 0.487 -2.187  C4 1.421, C5 1.444, H17 1.056
3 C 0.146 -1.015 -0.499  C1 1.409, N14 1.348, H18 1.019
4 C 0.643 1.084 -1.546  C2 1.421, N14 1.360, H19 1.057
5 C 2.127 -0.879 -1.891  C1 1.443, C2 1.444, N15 1.344
6 C -2.113 2.069 2.975  C7 1.541, C8 1.434, H20 1.065, H21 1.151
7 C -2.916 0.858 2.461  C6 1.541, C8 1.458, C9 1.483, C10 1.501
8 C -2.296 1.834 1.573  C6 1.434, C7 1.458, C11 1.324
9 C -2.442 -0.523 2.720  C7 1.483, H22 1.169, H23 1.145, H24 1.095
10 C -4.412 0.946 2.542  C7 1.501, H25 1.085, H26 1.057, H27 1.101
11 C -1.842 2.197 0.384  C8 1.324, H29 1.031, H30 1.139
12 C 3.750 -2.679 -1.971  N15 1.462, H31 1.126, H32 1.173, H33 1.204
13 C 4.225 -0.582 -3.080  N15 1.405, H34 1.153, H35 1.084, H36 1.197
14 N -0.057 0.306 -0.679  C3 1.348, C4 1.360, H28 1.101
15 N 3.281 -1.358 -2.387  C5 1.344, C12 1.462, C13 1.405
16 H 1.355 -2.688 -0.797  C1 1.051
17 H 2.237 1.155 -2.852  C2 1.056
18 H -0.338 -1.575 0.201  C3 1.019
19 H 0.305 2.086 -1.539  C4 1.057
20 H -2.677 2.782 3.529  C6 1.065
21 H -1.082 1.985 3.481  C6 1.151
22 H -3.288 -0.888 3.440  C9 1.169
23 H -1.479 -0.672 3.321  C9 1.145
24 H -2.574 -1.187 1.860  C9 1.095
25 H -4.822 0.079 3.049  C10 1.085
26 H -5.062 1.044 1.715  C10 1.057
27 H -4.585 1.772 3.250  C10 1.101
28 H -0.646 0.835 0.087  N14 1.101
29 H -1.287 3.032 0.142  C11 1.031
30 H -2.214 1.706 -0.574  C11 1.139
31 H 3.313 -3.465 -2.648  C12 1.126
32 H 4.921 -2.715 -1.910  C12 1.173
33 H 3.355 -3.092 -0.911  C12 1.204
34 H 5.171 -0.103 -2.626  C13 1.153
35 H 4.578 -1.371 -3.735  C13 1.084
36 H 3.720 0.218 -3.813  C13 1.197

---

2.
The following is a DFT calculation (wB97M-V/def2-TZVPD) of one molecule with the formula C13H21N3O2.

The value obtained for the LUMO energy is 0.81 eV. The calculation puts the calculated total energy at -22387.2520 eV. The structure (SMILES) is COCCNC(=O)Cn1cc2c(n1)CC[C@@H](C)C2. The HOMO energy is -8.931 eV. The energy relative to the best compared isomer or geometry (same formula, charge and spin) comes out at 21.9 kcal/mol. Its HOMO-LUMO gap is 9.74 eV.

Last columns: bonded neighbours and bond lengths (Å).
Positions of all 39 atoms, in Å:
1 C -1.396 -2.206 0.218  O2 1.406, H19 1.089, H20 1.097, H21 1.095
2 O -2.722 -2.636 0.406  C1 1.406, C3 1.406
3 C -3.647 -1.617 0.697  O2 1.406, C4 1.541, H22 1.100, H23 1.092
4 C -3.990 -0.695 -0.489  C3 1.541, N5 1.444, H24 1.091, H25 1.093
5 N -3.050 0.387 -0.669  C4 1.444, C6 1.341, H26 1.018
6 C -3.152 1.533 0.020  N5 1.341, O7 1.212, C8 1.543
7 O -4.065 1.828 0.761  C6 1.212
8 C -1.986 2.504 -0.267  C6 1.543, N9 1.434, H27 1.091, H28 1.096
9 N -0.707 1.858 -0.212  C8 1.434, C10 1.350, N13 1.339
10 C 0.279 2.047 0.690  N9 1.350, C11 1.378, H29 1.071
11 C 1.304 1.189 0.355  C10 1.378, C12 1.405, C18 1.489
12 C 0.837 0.507 -0.782  C11 1.405, N13 1.325, C14 1.487
13 N -0.379 0.920 -1.109  N9 1.339, C12 1.325
14 C 1.617 -0.540 -1.495  C12 1.487, C15 1.530, H30 1.092, H31 1.095
15 C 3.085 -0.441 -1.074  C14 1.530, C16 1.533, H32 1.091, H33 1.092
16 C 3.221 -0.368 0.451  C15 1.533, C17 1.525, C18 1.534, H34 1.096
17 C 4.677 -0.519 0.879  C16 1.525, H35 1.088, H36 1.088, H37 1.088
18 C 2.645 0.959 0.960  C11 1.489, C16 1.534, H38 1.093, H39 1.095
19 H -0.778 -3.102 0.260  C1 1.089
20 H -1.084 -1.514 1.009  C1 1.097
21 H -1.256 -1.719 -0.753  C1 1.095
22 H -3.293 -0.999 1.535  C3 1.100
23 H -4.551 -2.146 1.005  C3 1.092
└──
Request:
Now work out how many lines further above have the word "the" in them; a number is enough.
Solution:
3